The Sunday Best is a collection of articles I’ve curated from the furthest reaches of the internet for your reading pleasure.
Every week, I scan hundreds of headlines, read dozens of posts, and bring you the best of the best to save you time and mental energy.
Financial Independence (FI) is a primary focus, but it’s an awfully broad topic. I tend to approach FI and early retirement from a fatFIRE perspective and through the lens of a physician, so expect to see those biases in the selected articles.
Related topics that have become recurrent themes include early retirement, selective frugality, tax issues, travel, physician issues, and of course, investing.
For more great articles, take a peek at The Sunday Best Archives. Now let’s get to the best… The Sunday Best!
The Sunday Best
He begins his third year of early retirement before his fortieth birthday. Strong work, Minafi! Adam reflects on the need to stay flexible, a lesson many of us learned in 2020. Seven Takeaways from My Second Year of FIRE.
Are FIRE are YOLO two acronyms in opposition? The Physician Philosopher explores the meaning of both in a blog post and accompanying podcast. TPP 16: YOLO vs. FIRE.
That was the exact question posed to me by Dr. Faryal Michaud on her Write Your Last Chapter podcast. We ended up talking about that and related subjects for a good long while. Retiring Early To Travel The World: Physician on FIRE.
Joe Udo from is retired and he and his wife have plans to travel the world. The Retire by 40 author also realized that the time will come to leave Oregon behind for good. The Worst States to Retire In.
The White Coat Investor spent a lot of time playing and very little time working this fall. It was almost a “mini retirement” and he realized that all play and no work makes Jim a dull boy. Yes, Finding Purpose in Retirement is important.
I know of two FIRE blogs that have donated over $400,000 in the last five years. The one you’re reading now and Mr. Money Mustache. His latest round of giving and musings on the year ahead: Poisoned Just Enough: Why I’m so Optimistic About 2021.
Should we be optimistic about the stock market in 2021, given current valuations? Barry Ritholtz looks at The Big Picture. S&P 500 CAPE Ratio: 2020 vs 1929 and what it could mean for investors.
Maybe you’ll shift some of your investment dollars to alternatives, like I have. Passive income is the real deal, right? Smart Money MD isn’t buying it. He says that Passive Income is a Lie.
Is it true that private schools offer the best education? Or is that a lie, too? Andrew from Compounding Works looks at Public Versus Private School for Your Kids when pursuing FI.
Kids can learn from working, too. Does it make sense to hire your kids? Physician Finance Basics shows you why you might want to and how to do so properly. How To Hire Your Kids the Right Way.
Although it didn’t make the list, hiring your kids to work in your business can lower your taxes. More than a dozen other tips, many of which I’ve used, in the Top 10 Ways to Lower Your Taxes.
The year’s not quite over yet. I am very much looking forward to 2021, but in the meantime, the FI Tax Guy can help you do some 2020 Year-End Tax Planning.
One way I reduce my tax burden is with charitable giving to and from our donor advised fund. The White Coat Investor has started one, too. In Praise of Giving.
- Bonus: WCI shares where their donated dollars have been going. Our Favorite Charities for 2020.
- Double Bonus: WCI requested my donation on his behalf to support this amazing doctor’s work in Ethiopia.

Physicians and pharmacists, Register with Incrowd for the opportunity to earn easy money with quick "microsurveys" tailored to your specialty.
Use Up Any FSA and CME money!
If you’ve got a Flexible Spending Account, Continuing Medical Education fund, or any other type of use-it-or-lose-it money, you’ve got precious little time to spend that money.
Unlike a Health Savings Account (HSA), the balance of which can grow for decades as your money’s invested, an FSA balance often zeroes out at the end of the year. Use it or lose it.
The CARES Act expanded the list of eligible healthcare expenses, so you’ve got more options than ever to spend that money. See LifeHacker for a list of how you can spend that money and look into any rolloever or extension options you may have.
If you’ve got unused CME money, I’ve got one recommendation for you, the 2021 virtual White Coat Investor Physician Wellness and Financial Literacy Conference.
The online conference (with a number of us including yours truly getting together in person to put this on, presumably after vaccination) will take place March 4 to 6, 2021. There will be several tracks, and if you don’t catch one of the 50+ talks live, they will all be recorded for your consumption at your leisure.
The meeting qualifies for 17 credits of CME, and registration is $899. Those who register by 1/11 will receive a “swag bag” in the mail with a pile of personal finance books, WCI shirt, and more goodies.
Check Out WCICON21
1.
This record from OMol25 describes a structure of composition CH2N2O2S. The level of theory is the ωB97M-V functional and the def2-TZVPD basis.

The LUMO energy comes out at -0.677 eV. As for the HOMO energy: -9.0 eV.

Structure (ORCA input):
```
! RIJCOSX wB97M-V def2-TZVPD def2/J DEFGRID3
* xyz 0 1
S -0.1329 -1.8905 0.1811
C -0.1399 0.9009 -0.8089
O -1.1068 -2.1705 1.1419
N 0.7287 0.6881 0.1790
H 0.9245 1.3926 0.8795
O 0.6180 -0.5872 0.8328
H -0.1389 1.8117 -1.2260
N -0.7528 -0.1452 -1.1793
*
```



2.
This record from OMol25 describes the molecule CH2N2O2S. The level of theory is the ωB97M-V functional and the def2-TZVPD basis.

The LUMO energy comes out at -0.344 eV. As for the HOMO energy: -10.9 eV.

Structure (ORCA input):
```
! RIJCOSX wB97M-V def2-TZVPD def2/J DEFGRID3
* xyz 0 1
H 1.7325 1.3683 0.0336
O 0.0994 0.7471 0.9998
O -1.1669 0.9014 -1.2320
N 1.3627 0.5172 0.4206
The entry goes on =
A Recommended Tax Strategist
There’s no time like the present to do some year-end tax planning!
If you could use some professional help optimizing your tax situation, see our Recommended Tax Strategists page for assistance with both tax planning and tax return preparation.
NGG Tax Group
NGG Tax Group has clients across the US States and various foreign Countries. Our focus is on tax planning, tax preparation, projections and cryptocurrency. While we help US and foreign nationals alike, we take pride in assisting foreign nationals unravel the intricate US tax system.
From dealing with international tax matters that affect individuals such as owning foreign assets, owning foreign accounts, exploring income tax treaties to figuring out residency for tax purposes and living abroad.
With over 15 years of experience, our firm operates on the cutting edge; we are virtual and can communicate and exchange information regardless of where you are located. We know you are busy so our service literally comes to you. Contact us today.
Have an outstanding week!
-Physician on FIRE
## Inserted here: quantum chemistry results
Molecular formula: CH14O6
Method: DFT, ωB97M-V/def2-TZVPD

Each atom is followed by the atoms it is bonded to, with distances in Å.
CARTESIAN COORDINATES (ANGSTROEM)
1 C -0.2487 1.3247 1.9178  O2 1.438, H3 1.091, H4 1.095, H5 1.086
2 O -0.0349 0.0627 1.2629  C1 1.438, H6 0.973
3 H -0.5636 1.1308 2.9439  C1 1.091
4 H -1.0976 1.8374 1.4536  C1 1.095
5 H 0.6434 1.9421 1.8596  C1 1.086
6 H 0.8872 0.0737 0.9533  O2 0.973
7 H 3.0584 -0.9492 -3.2822  O9 0.961
8 H 1.8468 -0.9607 -2.3710  O9 0.975
9 O 2.5864 -1.5214 -2.6704  H7 0.961, H8 0.975
10 H -0.6312 -0.0564 -1.4707  O12 0.976
11 H 0.5142 0.6308 -2.2365  O12 0.961
12 O 0.2846 -0.1846 -1.7821  H10 0.976, H11 0.961
13 H -2.6364 1.0697 -1.1903  O15 0.966
14 H -2.2449 0.1898 0.0048  O15 0.970
15 O -2.3664 0.1725 -0.9570  H13 0.966, H14 0.970
16 H 2.7441 -0.4607 -0.6582  O18 0.964
17 H 3.5664 -0.9768 0.5030  O18 0.953
18 O 2.9156 -0.3170 0.2791  H16 0.964, H17 0.953
19 H -2.5795 -1.5769 1.6305  O21 0.972
20 H -3.7906 -0.7027 1.7926  O21 0.964
21 O -2.8531 -0.7279 2.0173  H19 0.972, H20 0.964

Energy ... -13549.093 eV
SMILES ... CO.O.O.O.O.O
Energy relative to the best compared isomer or geometry (same formula, charge and spin) ... 0.568 eV
F_max ... 0.995 eV/Å

* * * * *

1.
Here is C5H5NO in the gas phase from OMol25. Energies are from the ωB97M-V functional and the def2-TZVPD basis.

As for the orbital gap: 10.72 eV. The structure (SMILES) is N#C[C@@H]1C[C@@H]1C=O. The value obtained for the LUMO energy is 0.01747 Ha.

Each line ends with the natural charge from an NBO analysis.
CARTESIAN COORDINATES (ANGSTROEM)
O -1.79 -1.49 0.14  -0.469
C -0.92 -0.96 0.78  0.423
C -0.44 0.47 0.53  -0.312
C 1.02 0.78 0.47  -0.387
C 0.26 0.58 -0.81  -0.326
C 0.22 -0.69 -1.51  0.260
N -0.04 -1.71 -1.98  -0.288
H -0.37 -1.54 1.55  0.121
H -1.12 1.26 0.85  0.252
H 1.77 0.05 0.79  0.232
H 1.32 1.81 0.67  0.233
H 0.11 1.44 -1.47  0.260

2.
Here is 3 unconnected molecules or ions with the total composition CH10N2O2 from OMol25. Energies are from the ωB97M-V functional and the def2-TZVPD basis.

As for the orbital gap: 9.93 eV. The structure (SMILES) is NCN.O.O. The value obtained for the LUMO energy is 0.03439 Ha.

Each line ends with the natural charge from an NBO analysis.
CARTESIAN COORDINATES (ANGSTROEM)
N 1.98 -1.67 -1.88  -0.883
C 1.22 -0.46 -1.52  -0.046
N 0.38 -0.66 -0.34  -0.847
H 2.59 -1.44 -2.61  0.347
H 1.56 -2.54 -2.23  0.360
H 0.69 -0.16 -2.46  0.152
H 1.94 0.44 -1.31  0.183
H -0.17 -1.51 -0.51  0.350
H 0.98 -0.70 0.48  0.381
H 1.37 0.29 3.28  0.471
H 1.75 -1.13 2.99  0.467
O 1.95 -0.25 2.76  -0.935
H -5.25 2.96 0.47  0.458
H -5.79 3.16 1.69  0.455
O -5.20 3.66 1.17  -0.913

3.
Here is 2 unconnected molecules or ions with the total composition C4H14N2O from OMol25. Energies are from the ωB97M-V functional and the def2-TZVPD basis.
## So much for the quantum chemistry results
13 thoughts on “The Sunday Best (12/27/2020)”
Thanks for the mention! It seems like it was just a few months ago we were chatting and I mentioned I was FIREing. I’m pretty sure a flamingo and beer were involved. 😂
I recall that well. How the time flies!
Thanks for supporting Rick’s work in Ethiopia! We could all use role models for how the world should work right now.
His story in the convo with WCI was fascinating. Glad to hear you’re supporting his work generously.
Thanks for the mention! Have a great holiday with your family.
You do the same!
p.s. state inheritance tax is not something many people think about, but for us FI types, that’s something to keep an eye on, especially as we age and the likelihood of passing on begins to increase. Still decades away for both of us, I hope!
Thank you for the mention, PoF, much appreciated! Wish you and yours a Happy Holidays and a Happy New Year!!
I’m happy to feature your work — it’s always thorough and accurate.
Thank you for the kind words!
Of all the blogs I frequent, The Sunday Best is consistently my favorite and the one I look forward to. I’m sure. Takes a fair amount of work combing the web for these insights, and hearing other voices and perspectives can be so enlightening. Happy holidays and thanks for what you do!
It’s a labor of love, TDZ. I’m happy to hear you’re enjoying these weekly posts, too.
Happy Holidays to you and yours!